Please duplicate the whole of the contents further below without altering anything.

=====
GGA-PBE CoOs2C, optimized geometry; calculated formation energy = 1.05 eV per atom; Fermi-level density of states = 5.37 states/eV/cell; space-group type = I-42d (122)
1.0
-1.8831 -3.9067 2.4720
4.5155 -2.1267 0.0787
2.2495 -0.8841 5.3567
Co C Os
2 2 4
Cartesian
0.0000 0.0000 0.0000 Co
0.8413 -3.9038 4.5520 Co
1.3162 -3.0167 1.2753 C
4.0406 -3.0138 3.3554 C
0.0512 -2.7184 2.7610 Os
3.0479 -2.2488 1.8304 Os
2.9172 -3.0401 4.9783 Os
3.7475 -5.8280 6.2451 Os

=====

GGA-PBE K2TcBr, optimized geometry; Fermi-level density of states = 3.94 states/eV/cell; relative energy among the computed polymorphs = 0 meV per atom; raw formation energy = 0.325 eV/atom; space-group type = P4/mmm (123)
1.0
-2.2807 1.3233 2.5699
0.4785 -3.0532 1.9968
7.2195 3.9812 4.3573
Br K Tc
1 2 1
Cartesian
4.5135 2.1209 5.5513 Br
7.0024 3.8614 4.2262 K
3.8268 2.1103 2.3097 K
0.9038 0.1303 3.3727 Tc

=====

GGA-PBE Cs12Ag5Pt3, optimized geometry; calculated formation energy = 0.14 eV per atom; Fermi-level density of states = 38.44 states/eV/cell; space-group type = Ia-3d (230)
1.0
-15.9866 7.3250 -4.6041
-0.5264 -5.2522 17.3943
13.1748 12.3273 -2.2112
Pt Ag Cs
12 20 48
Cartesian
-10.5405 5.0651 2.7934 Pt
-12.7362 4.0112 8.7408 Pt
1.8445 6.5123 9.9372 Pt
0.8781 5.7975 0.1941 Pt
-10.7604 8.8347 -2.4071 Pt
-3.0303 2.5461 8.5921 Pt
-0.3079 11.8540 1.9870 Pt
7.4221 5.5654 12.9862 Pt
-4.2163 8.6027 10.3850 Pt
-5.1827 7.8878 0.6419 Pt
9.3980 10.3889 1.8383 Pt
7.2023 9.3350 7.7857 Pt
1.0980 2.0279 5.3946 Ag
-0.2632 -2.6261 8.6972 Ag
0.0000 0.0000 0.0000 Ag
-4.4797 2.9748 2.3457 Ag
-1.4059 9.8261 -3.4076 Ag
-8.2565 1.0364 6.3951 Ag
2.5474 1.5992 11.6410 Ag
-0.5278 15.6236 -3.2135 Ag
-7.3784 6.8339 6.5892 Ag
3.8203 11.3358 -1.2106 Ag
-7.1585 3.0643 11.7897 Ag
-1.6691 7.2001 5.2896 Ag
-7.9933 3.6625 -2.3020 Ag
6.5874 6.1636 -1.1056 Ag
4.0402 7.5662 3.9899 Ag
-2.8104 -1.2235 13.7926 Ag
6.3242 3.5375 7.5916 Ag
-5.8856 12.8009 -1.0619 Ag
1.1415 11.4254 8.2334 Ag
-4.4362 12.3722 5.1845 Ag
-11.0029 5.4983 -1.2214 Cs
0.1528 4.7531 7.3604 Cs
-11.6830 8.1639 1.4941 Cs
-7.3985 4.5318 1.2316 Cs
-1.1850 8.8429 8.5549 Cs
-12.9789 5.9920 5.1999 Cs
-0.4208 3.2734 10.8851 Cs
0.1883 -2.5632 14.9748 Cs
-0.7197 7.5415 12.1648 Cs
-9.8306 4.3538 6.7317 Cs
-7.5904 7.8238 3.2486 Cs
-12.8670 1.9663 12.2510 Cs
4.9234 4.0645 10.9614 Cs
-4.7211 1.7034 5.5876 Cs
2.6794 0.3920 14.9136 Cs
1.0892 9.2083 -0.7640 Cs
1.3706 2.7802 1.9969 Cs
-6.4114 0.5001 9.5421 Cs
-10.2382 4.5955 11.1933 Cs
-1.4352 -0.2607 6.1228 Cs
3.6925 7.1782 12.8932 Cs
-4.2042 5.7193 7.5203 Cs
-7.8884 9.4387 8.8562 Cs
-0.5633 14.9119 0.2036 Cs
0.8660 8.6808 3.0588 Cs
4.5501 4.9614 1.7229 Cs
-2.7750 -0.5118 10.3755 Cs
6.9000 9.8046 -0.6142 Cs
-7.0307 7.2219 -2.3141 Cs
-1.9031 14.6608 4.4563 Cs
3.0731 13.9000 1.0370 Cs
-4.4274 5.1919 11.3432 Cs
-4.7088 11.6199 8.5822 Cs
-6.0176 14.0082 -4.3345 Cs
-8.2616 10.3356 -0.3823 Cs
9.5287 12.4338 -1.6719 Cs
1.3829 12.6967 4.9915 Cs
-2.6185 6.8586 -1.5857 Cs
6.4924 10.0464 3.8474 Cs
4.2522 6.5764 7.3305 Cs
-3.5266 16.9633 -4.3957 Cs
-2.9174 11.1267 -0.3060 Cs
4.0602 9.8683 9.3475 Cs
9.6407 8.4081 5.3792 Cs
-2.1533 5.5572 2.0242 Cs
8.3448 6.2362 9.0850 Cs
-3.4911 9.6470 3.2187 Cs
7.6647 8.9018 11.8005 Cs

=====

GGA-PBE CaAs2Se, optimized geometry; Fermi-level density of states = 0.31 states/eV/cell; raw formation energy = -0.745 eV/atom; space-group type = C2/m (12)
1.0
6.2709 -0.0002 0.0000
5.0509 3.7165 0.0000
-0.8030 -0.2636 4.2362
As Ca Se
2 1 1
Cartesian
-0.5885 -0.1932 3.9948 As
5.0449 1.6559 2.3595 As
7.8891 2.5895 3.1771 Ca
2.6297 0.8632 1.0590 Se

=====

GGA-PBE Sm2Dy3Ho6Mg, optimized geometry; calculated formation energy = 0.02 eV per atom; Fermi-level density of states = 17.10 states/eV/cell; space-group type = C2/m (12)
1.0
6.1006 -0.0033 0.0034
-3.0517 5.2825 0.0034
-1.0300 -1.7835 11.5098
Sm Dy Ho Mg
2 3 6 1
Cartesian
0.0027 3.5185 0.0034 Sm
3.0463 1.7607 0.0034 Sm
-2.0497 3.5147 5.7583 Dy
4.0687 -0.0189 5.7583 Dy
1.0095 1.7479 5.7583 Dy
3.0370 1.7510 8.6342 Ho
=====

GGA-PBE CoOs2C, optimized geometry; calculated formation energy = 1.05 eV per atom; Fermi-level density of states = 5.37 states/eV/cell; space-group type = I-42d (122)
1.0
-1.8831 -3.9067 2.4720
4.5155 -2.1267 0.0787
2.2495 -0.8841 5.3567
Co C Os
2 2 4
Cartesian
0.0000 0.0000 0.0000 Co
0.8413 -3.9038 4.5520 Co
1.3162 -3.0167 1.2753 C
4.0406 -3.0138 3.3554 C
0.0512 -2.7184 2.7610 Os
3.0479 -2.2488 1.8304 Os
2.9172 -3.0401 4.9783 Os
3.7475 -5.8280 6.2451 Os

=====

GGA-PBE K2TcBr, optimized geometry; Fermi-level density of states = 3.94 states/eV/cell; relative energy among the computed polymorphs = 0 meV per atom; raw formation energy = 0.325 eV/atom; space-group type = P4/mmm (123)
1.0
-2.2807 1.3233 2.5699
0.4785 -3.0532 1.9968
7.2195 3.9812 4.3573
Br K Tc
1 2 1
Cartesian
4.5135 2.1209 5.5513 Br
7.0024 3.8614 4.2262 K
3.8268 2.1103 2.3097 K
0.9038 0.1303 3.3727 Tc

=====

GGA-PBE Cs12Ag5Pt3, optimized geometry; calculated formation energy = 0.14 eV per atom; Fermi-level density of states = 38.44 states/eV/cell; space-group type = Ia-3d (230)
1.0
-15.9866 7.3250 -4.6041
-0.5264 -5.2522 17.3943
13.1748 12.3273 -2.2112
Pt Ag Cs
12 20 48
Cartesian
-10.5405 5.0651 2.7934 Pt
-12.7362 4.0112 8.7408 Pt
1.8445 6.5123 9.9372 Pt
0.8781 5.7975 0.1941 Pt
-10.7604 8.8347 -2.4071 Pt
-3.0303 2.5461 8.5921 Pt
-0.3079 11.8540 1.9870 Pt
7.4221 5.5654 12.9862 Pt
-4.2163 8.6027 10.3850 Pt
-5.1827 7.8878 0.6419 Pt
9.3980 10.3889 1.8383 Pt
7.2023 9.3350 7.7857 Pt
1.0980 2.0279 5.3946 Ag
-0.2632 -2.6261 8.6972 Ag
0.0000 0.0000 0.0000 Ag
-4.4797 2.9748 2.3457 Ag
-1.4059 9.8261 -3.4076 Ag
-8.2565 1.0364 6.3951 Ag
2.5474 1.5992 11.6410 Ag
-0.5278 15.6236 -3.2135 Ag
-7.3784 6.8339 6.5892 Ag
3.8203 11.3358 -1.2106 Ag
-7.1585 3.0643 11.7897 Ag
-1.6691 7.2001 5.2896 Ag
-7.9933 3.6625 -2.3020 Ag
6.5874 6.1636 -1.1056 Ag
4.0402 7.5662 3.9899 Ag
-2.8104 -1.2235 13.7926 Ag
6.3242 3.5375 7.5916 Ag
-5.8856 12.8009 -1.0619 Ag
1.1415 11.4254 8.2334 Ag
-4.4362 12.3722 5.1845 Ag
-11.0029 5.4983 -1.2214 Cs
0.1528 4.7531 7.3604 Cs
-11.6830 8.1639 1.4941 Cs
-7.3985 4.5318 1.2316 Cs
-1.1850 8.8429 8.5549 Cs
-12.9789 5.9920 5.1999 Cs
-0.4208 3.2734 10.8851 Cs
0.1883 -2.5632 14.9748 Cs
-0.7197 7.5415 12.1648 Cs
-9.8306 4.3538 6.7317 Cs
-7.5904 7.8238 3.2486 Cs
-12.8670 1.9663 12.2510 Cs
4.9234 4.0645 10.9614 Cs
-4.7211 1.7034 5.5876 Cs
2.6794 0.3920 14.9136 Cs
1.0892 9.2083 -0.7640 Cs
1.3706 2.7802 1.9969 Cs
-6.4114 0.5001 9.5421 Cs
-10.2382 4.5955 11.1933 Cs
-1.4352 -0.2607 6.1228 Cs
3.6925 7.1782 12.8932 Cs
-4.2042 5.7193 7.5203 Cs
-7.8884 9.4387 8.8562 Cs
-0.5633 14.9119 0.2036 Cs
0.8660 8.6808 3.0588 Cs
4.5501 4.9614 1.7229 Cs
-2.7750 -0.5118 10.3755 Cs
6.9000 9.8046 -0.6142 Cs
-7.0307 7.2219 -2.3141 Cs
-1.9031 14.6608 4.4563 Cs
3.0731 13.9000 1.0370 Cs
-4.4274 5.1919 11.3432 Cs
-4.7088 11.6199 8.5822 Cs
-6.0176 14.0082 -4.3345 Cs
-8.2616 10.3356 -0.3823 Cs
9.5287 12.4338 -1.6719 Cs
1.3829 12.6967 4.9915 Cs
-2.6185 6.8586 -1.5857 Cs
6.4924 10.0464 3.8474 Cs
4.2522 6.5764 7.3305 Cs
-3.5266 16.9633 -4.3957 Cs
-2.9174 11.1267 -0.3060 Cs
4.0602 9.8683 9.3475 Cs
9.6407 8.4081 5.3792 Cs
-2.1533 5.5572 2.0242 Cs
8.3448 6.2362 9.0850 Cs
-3.4911 9.6470 3.2187 Cs
7.6647 8.9018 11.8005 Cs

=====

GGA-PBE CaAs2Se, optimized geometry; Fermi-level density of states = 0.31 states/eV/cell; raw formation energy = -0.745 eV/atom; space-group type = C2/m (12)
1.0
6.2709 -0.0002 0.0000
5.0509 3.7165 0.0000
-0.8030 -0.2636 4.2362
As Ca Se
2 1 1
Cartesian
-0.5885 -0.1932 3.9948 As
5.0449 1.6559 2.3595 As
7.8891 2.5895 3.1771 Ca
2.6297 0.8632 1.0590 Se

=====

GGA-PBE Sm2Dy3Ho6Mg, optimized geometry; calculated formation energy = 0.02 eV per atom; Fermi-level density of states = 17.10 states/eV/cell; space-group type = C2/m (12)
1.0
6.1006 -0.0033 0.0034
-3.0517 5.2825 0.0034
-1.0300 -1.7835 11.5098
Sm Dy Ho Mg
2 3 6 1
Cartesian
0.0027 3.5185 0.0034 Sm
3.0463 1.7607 0.0034 Sm
-2.0497 3.5147 5.7583 Dy
4.0687 -0.0189 5.7583 Dy
1.0095 1.7479 5.7583 Dy
3.0370 1.7510 8.6342 Ho